Just a couple of observations, I didn't see a fuse at the battery for your power wire. This is a MUST. Also anywhere the power wire goes through metal IE the firewall, make sure you put it through a grommet. You may have done this, but didn't show it in the video. I am only commenting this incase a novice tries to follow your steps and does what they see you did or appeared to do and it might save them from burning their vehicle down by accident. I speak from experience, I once had this happen with a much smaller wire like 18 gauge. it got caught in the seat track and started burning the carpet. luckily it was easy to reach and thin enough to break but not before it damaged the carpet and my hand. if it had been a larger 4 gauge, things might have turned out differently.
The text is interrupted by crystal structures:
<<<
DFT (PBE-GGA) results for crystalline Li11Sn3 at its relaxed geometry.

Computed properties:
ΔH_f (0 K)	-247	meV/atom
crystal system	orthorhombic
M_tot	0.00	Bohr magnetons per cell

a b c (Å): 8.279 8.279 8.279
angles (deg): 148.00 124.19 65.80
Positions (direct):
Li  0.000  0.000  0.000
Li  0.094  0.858  0.235
Li  0.167  0.314  0.853
Li  0.241  0.500  0.741
Li  0.377  0.142  0.235
Li  0.460  0.314  0.147
Li  0.540  0.686  0.853
Li  0.623  0.858  0.765
Li  0.759  0.500  0.259
Li  0.833  0.686  0.147
Li  0.906  0.142  0.765
Sn  0.178  0.678  0.500
Sn  0.500  0.000  0.500
Sn  0.822  0.322  0.500

* * * * *

No. 1
# TmTe3PdPb (PBE-GGA, relaxed)
# Mass density: 8.07 g/cm³
# Energy above the lowest structure with this stoichiometry: 2.42 kJ per mole of atoms
# E_tot: -54.2 eV for the cell shown
data_TmTe3PdPb
_chemical_formula_sum 'Tm2 Te6 Pd2 Pb2'
_symmetry_space_group_name_H-M 'P 1 21/m 1'
_symmetry_Int_Tables_number 11
_cell_length_a 8.372
_cell_length_b 4.171
_cell_length_c 10.722
_cell_angle_alpha 90.00
_cell_angle_beta 107.90
_cell_angle_gamma 90.00
loop_
_symmetry_equiv_pos_as_xyz
'x,y,z'
'-x,-y,-z'
'-x,y+1/2,-z'
'x,-y+1/2,z'
loop_
_atom_site_label
_atom_site_type_symbol
_atom_site_fract_x
_atom_site_fract_y
_atom_site_fract_z
_atom_site_occupancy
Tm1 Tm 0.202 0.250 0.175 1
Te1 Te 0.078 0.250 0.871 1
Te2 Te 0.239 0.250 0.463 1
Te3 Te 0.455 0.750 0.159 1
Pd1 Pd 0.409 0.750 0.404 1
Pb1 Pb 0.243 0.750 0.709 1

No. 2
# TmTe3PdPb (PBE-GGA, relaxed)
# Mass density: 8.31 g/cm³
# Energy above the lowest structure with this stoichiometry: 0.00 kJ per mole of atoms
# E_tot: -109.0 eV for the cell shown
data_TmTe3PdPb
_chemical_formula_sum 'Tm4 Te12 Pd4 Pb4'
_symmetry_space_group_name_H-M 'C m c m'
_symmetry_Int_Tables_number 63
_symmetry_space_group_name_Hall '-C 2c 2'
_cell_length_a 4.096
_cell_length_b 14.965
_cell_length_c 11.282
_cell_angle_alpha 90.00
_cell_angle_beta 90.00
_cell_angle_gamma 90.00
loop_
_atom_site_label
_atom_site_type_symbol
_atom_site_fract_x
_atom_site_fract_y
_atom_site_fract_z
_atom_site_occupancy
Tm1 Tm 0.000 0.000 0.000 1
Te1 Te 0.000 0.079 0.250 1
Te2 Te 0.000 0.355 0.046 1
Pd1 Pd 0.000 0.459 0.250 1
Pb1 Pb 0.000 0.207 0.750 1

No. 3
# ThPd6Pb (PBE-GGA, relaxed)
# Mass density: 12.44 g/cm³
# E_tot: -47.3 eV for the cell shown
data_ThPd6Pb
_chemical_formula_sum 'Th1 Pd6 Pb1'
_symmetry_space_group_name_H-M 'P 4/m m m'
_symmetry_Int_Tables_number 123
_symmetry_space_group_name_Hall '-P 4 2'
_cell_length_a 4.170
_cell_length_b 4.170
_cell_length_c 8.272
_cell_angle_alpha 90.00
_cell_angle_beta 90.00
_cell_angle_gamma 90.00
loop_
_atom_site_label
_atom_site_type_symbol
_atom_site_fract_x
_atom_site_fract_y
_atom_site_fract_z
_atom_site_occupancy
Th1 Th 0.000 0.000 0.000 1
Pd1 Pd 0.000 0.500 0.250 1
Pd2 Pd 0.500 0.500 0.000 1
Pd3 Pd 0.500 0.500 0.500 1
Pb1 Pb 0.000 0.000 0.500 1
>>>
The text goes on:
Yes thankyou! I do need to be better about showing things in more detail. I ran it through a grommet and secured all of the wiring in place. Thanks for the tip though that’s a good point if someone is watching my video and trying to use it as a tutorial.
It came out great! My phone stopped recording because the storage was full so I lost most of the footage but I showed it a couple times in the end of the video.
Just a couple of observations, I didn't see a fuse at the battery for your power wire. This is a MUST. Also anywhere the power wire goes through metal IE the firewall, make sure you put it through a grommet. You may have done this, but didn't show it in the video.
I am only commenting this incase a novice tries to follow your steps and does what they see you did or appeared to do and it might save them from burning their vehicle down by accident. I speak from experience, I once had this happen with a much smaller wire like 18 gauge. it got caught in the seat track and started burning the carpet. luckily it was easy to reach and thin enough to break but not before it damaged the carpet and my hand. if it had been a larger 4 gauge, things might have turned out differently.
These data records were left in the article by mistake =
# 1
Below is a geometry-optimized SrLu3Tc structure, with properties calculated at the GGA-PBE level.

Summary:
symmetry: No. 221

Cell and atoms, written as POSCAR:
```
SrLu3Tc
1.0
5.399 0.000 0.000
0.000 5.399 0.000
0.000 0.000 5.399
Sr Tc Lu
1 1 3
direct
0.500 0.500 0.500
0.000 0.000 0.000
0.500 0.000 0.000
0.000 0.000 0.500
0.000 0.500 0.000
```



# 2
Below is a geometry-optimized SrLuTl2 structure, with properties calculated at the GGA-PBE level.

Summary:
symmetry: No. 123

Cell and atoms, written as POSCAR:
```
SrLuTl2
1.0
-1.909 -0.148 3.375
1.688 -3.400 0.805
5.963 3.800 3.540
Sr Tl Lu
1 2 1
direct
0.500 0.500 0.500
0.000 0.000 0.222
0.000 0.000 0.778
0.500 0.500 0.000
```



# 3
Below is a geometry-optimized SrLuTl4 structure, with properties calculated at the GGA-PBE level.

Summary:
symmetry: No. 216

Cell and atoms, written as POSCAR:
```
SrLuTl4
1.0
-3.429 2.523 4.748
-6.235 -1.259 0.448
-2.171 -3.729 4.696
Lu Tl Sr
1 4 1
direct
0.000 0.000 0.000
0.625 0.625 0.625
0.625 0.124 0.625
0.625 0.625 0.124
0.124 0.625 0.625
0.250 0.250 0.250
```



# 4
Below is a geometry-optimized SrTmLu2 structure, with properties calculated at the GGA-PBE level.

Summary:
symmetry: No. 123

Cell and atoms, written as POSCAR:
```
SrTmLu2
1.0
3.616 0.000 0.000
0.000 3.616 0.000
0.000 0.000 10.430
Lu Sr Tm
2 1 1
direct
0.000 0.000 0.783
0.000 0.000 0.217
0.500 0.500 0.500
0.500 0.500 0.000
```



# 5
Below is a geometry-optimized SrTmLu structure, with properties calculated at the GGA-PBE level.

Summary:
symmetry: No. 107

Cell and atoms, written as POSCAR:
```
SrTmLu
1.0
-1.419 0.491 -3.369
-3.206 -1.421 1.143
-0.138 7.669 3.195
Sr Tm Lu
1 1 1
direct
0.000 0.000 0.001
0.318 0.318 0.636
0.682 0.682 0.363
```



# 6
Below is a geometry-optimized SrTm2Lu structure, with properties calculated at the GGA-PBE level.

Summary:
symmetry: No. 123

Cell and atoms, written as POSCAR:
```
SrTm2Lu
1.0
3.940 0.000 0.000
0.000 3.940 0.000
0.000 0.000 9.177
Lu Sr Tm
1 1 2
direct
0.500 0.500 0.000
0.500 0.500 0.500
0.000 0.000 0.801
0.000 0.000 0.199
```



Listing energy of formation for the structures above in their given order: 29; -345; -47; 155; 172; 161 meV/atom.
Listing magnetic moment for the structures above in their given order: 0.00; 0.00; 0.00; 0.00; 0.00; 0.12 μB/cell.

~~~~~

(1)
Here is a geometry-optimized CaGa2Sn structure from the Alexandria database. Energies are from PBE.

Computed properties:
DFT formation energy   -133 kJ/mol of formula units
Crystal system   tetragonal
Density of states at the Fermi level   0.291 states/eV/atom

Unit cell a=4.422 b=4.536 c=4.536 alpha=90.00 beta=90.00 gamma=90.00
Element x y z (fractional)
1 Ga 0.000 0.000 0.500
2 Ga 0.000 0.500 0.000
3 Sn 0.500 0.000 0.000
4 Ca 0.500 0.500 0.500

***

(2)
Here is a geometry-optimized Ca2Ga3Sn structure from the Alexandria database. Energies are from PBE.

Computed properties:
DFT formation energy   -275 kJ/mol of formula units
Crystal system   monoclinic
Yes thankyou! I do need to be better about showing things in more detail. I ran it through a grommet and secured all of the wiring in place. Thanks for the tip though that’s a good point if someone is watching my video and trying to use it as a tutorial.
So how does it look the box with the he subwoofer
It came out great! My phone stopped recording because the storage was full so I lost most of the footage but I showed it a couple times in the end of the video.
Can we hear it please
I can show it but it has to be non copyright music is the only thing